'''
# C38H37BrF5MoN7O7S5Te

C38H37BrF5MoN7O7S5Te as an isolated structure (the ωB97M-V functional and the def2-TZVPD basis, the OMol25 dataset).

Summary:
HOMO-LUMO gap (alpha / beta) = 5.8 / 5.8 eV
HOMO level (alpha / beta) = -8.29 / -8.29 eV
Calculated total energy = -211727.79032 eV

ORCA input file:
```
! wB97M-V def2-TZVPD RIJCOSX def2/J DEFGRID3
* xyz 0 1
Mo 0.641 -0.513 0.939
Br -3.093 -3.148 -6.421
C -1.254 -2.758 -6.185
C -0.535 -3.427 -5.210
C 0.820 -3.170 -5.066
C 1.443 -2.253 -5.908
C 0.706 -1.593 -6.886
C -0.652 -1.822 -7.014
N 2.864 -2.031 -5.980
N 3.611 -1.941 -5.000
C 3.138 -1.897 -3.645
C 3.629 -2.827 -2.762
C 3.286 -2.824 -1.392
C 2.478 -1.821 -0.937
O 2.099 -1.622 0.330
C 2.011 -0.837 -1.823
N 1.220 0.079 -1.222
C 0.726 1.061 -1.939
C 1.009 1.181 -3.311
C 1.792 0.246 -3.933
C 2.320 -0.829 -3.183
H -1.025 -4.137 -4.560
H 1.379 -3.703 -4.312
H 1.216 -0.914 -7.556
H -1.229 -1.307 -7.769
H 4.293 -3.593 -3.142
H 3.661 -3.576 -0.711
H 0.088 1.774 -1.434
H 0.557 1.994 -3.858
H 2.000 0.329 -4.992
C -3.201 0.661 -5.332
C -2.984 -0.305 -4.177
S -2.381 0.386 -2.629
C -3.628 1.594 -2.132
C -3.571 2.982 -2.793
S -1.893 3.649 -2.974
C -1.876 4.243 -4.683
C -2.372 3.316 -5.794
S -1.728 1.619 -5.809
H -3.999 1.364 -5.098
H -3.529 0.083 -6.197
H -2.207 -1.032 -4.427
H -3.897 -0.877 -4.000
H -3.478 1.697 -1.056
H -4.623 1.164 -2.274
H -4.155 3.672 -2.183
H -4.036 2.959 -3.776
H -0.825 4.488 -4.848
H -2.431 5.182 -4.753
H -2.096 3.772 -6.746
H -3.460 3.258 -5.798
N 7.359 2.006 2.913
C 6.287 1.136 3.047
C 5.951 0.600 4.290
C 4.920 -0.315 4.405
C 4.219 -0.716 3.278
C 4.551 -0.195 2.032
C 5.563 0.735 1.919
S 3.001 -1.981 3.442
O 3.306 -3.012 2.495
O 2.898 -2.298 4.834
N 1.624 -1.220 2.939
C 0.467 -1.154 3.612
N 0.168 -1.511 4.863
C -1.085 -1.302 5.226
C -2.079 -0.751 4.408
C -1.701 -0.410 3.135
N -0.442 -0.615 2.762
H 7.656 2.480 3.749
H 7.350 2.598 2.100
H 6.511 0.896 5.170
H 4.659 -0.738 5.366
H 4.024 -0.529 1.150
H 5.821 1.139 0.947
H -1.330 -1.593 6.243
H -3.088 -0.608 4.760
H -2.362 0.026 2.397
C 5.771 4.932 4.743
C 4.623 4.281 4.024
C 4.340 4.589 2.696
C 3.250 4.027 2.051
C 2.441 3.146 2.749
C 2.711 2.805 4.067
C 3.803 3.374 4.693
S 1.003 2.497 1.987
O 0.021 2.242 2.995
O 0.667 3.286 0.842
O 1.530 1.103 1.463
H 6.467 5.399 4.047
H 6.316 4.207 5.350
H 5.408 5.708 5.420
H 4.972 5.290 2.165
H 3.010 4.284 1.028
H 2.063 2.114 4.590
H 4.022 3.115 5.722
F -3.529 -3.029 0.229
Te -2.122 -2.377 -0.939
F -3.258 -2.803 -2.365
F -1.505 -4.126 -0.857
F -0.712 -2.212 -2.293
F -0.243 -2.254 0.752
O -0.759 0.198 0.349
*
```

# C38H38F3IN4O4SSiTi

C38H38F3IN4O4SSiTi as an isolated structure (the ωB97M-V functional and the def2-TZVPD basis, the OMol25 dataset).

Summary:
HOMO-LUMO gap (alpha / beta) = 5.2 / 5.2 eV
HOMO level (alpha / beta) = -3.09 / -3.13 eV
Calculated total energy = -112258.91219 eV

ORCA input file:
```
! wB97M-V def2-TZVPD RIJCOSX def2/J DEFGRID3
* xyz -1 2
Ti -1.328 0.078 0.456
C -5.053 -2.246 -0.739
C -4.532 -1.304 -1.784
N -5.165 -1.259 -2.951
C -4.662 -0.421 -3.881
C -3.584 0.407 -3.703
C -3.095 1.323 -4.792
O -3.724 1.135 -6.052
C -2.914 0.423 -2.436
C -1.904 1.352 -2.135
N -1.388 1.433 -0.870
C -0.925 2.718 -0.480
C 0.307 3.180 -0.935
C 0.796 4.407 -0.522
C 0.051 5.185 0.353
C -1.192 4.749 0.785
C -1.692 3.521 0.363
I -3.636 2.997 0.901
C -3.398 -0.532 -1.512
O -2.792 -0.732 -0.326
H -5.816 -2.877 -1.191
H -5.496 -1.697 0.098
H -4.254 -2.861 -0.321
H -5.192 -0.399 -4.827
H -2.007 1.213 -4.895
H -3.277 2.366 -4.520
H -3.627 0.205 -6.282
H -1.611 2.120 -2.839
H 0.879 2.537 -1.591
H 1.764 4.747 -0.869
H 0.430 6.137 0.701
H -1.780 5.365 1.451
C -3.950 -4.112 3.791
'''

Now set down only the lines further up with the word "basis" in them.

C38H37BrF5MoN7O7S5Te as an isolated structure (the ωB97M-V functional and the def2-TZVPD basis, the OMol25 dataset).
C38H38F3IN4O4SSiTi as an isolated structure (the ωB97M-V functional and the def2-TZVPD basis, the OMol25 dataset).